To do
Please echo the contents below exactly.

Given
- - -
Pm2Al9Pd3 | PBE | relaxed

Summary:
Mass density   5.7 g cm⁻³
Total moment   0.00 μB per cell
E_form   -0.698 eV/atom

Cell: 13.3988 7.7039 10.5724 Å, 90.00 114.86 90.00°
Last column: nearest neighbours and their distance in Å.
Space group C2/c (No. 15)
Asymmetric unit:
Pm  0.1691  0.0841  0.2501 (multiplicity 8)  11 Al 3.08-3.21
Al  0.0000  0.3753  0.2500 (multiplicity 4)  2 Pd 2.60, 4 Al 2.75-2.82
Al  0.0594  0.0853  0.9272 (multiplicity 8)  3 Pd 2.63-2.66, 4 Al 2.81-2.94
Al  0.1013  0.4162  0.0552 (multiplicity 8)  3 Pd 2.63-2.68, 5 Al 2.78-2.92
Al  0.1024  0.3161  0.7481 (multiplicity 8)  2 Pd 2.60-2.61, 6 Al 2.75-2.90
Al  0.2246  0.4179  0.4289 (multiplicity 8)  3 Pd 2.65-2.66, 5 Al 2.81-2.94
Pd  0.0849  0.2435  0.4999 (multiplicity 8)  8 Al 2.60-2.68
Pd  0.2500  0.2500  0.0000 (multiplicity 4)  8 Al 2.61-2.66

~~~~~

Record 1
The following is a PBE calculation of Pr2SmTh3P6 after structural relaxation, from Alexandria.

Results
Size of the total moment in μB per formula unit: 0.0
Fermi-level density of states in states/eV/cell: 5.241
Energy in eV/atom: -7.313
Energy of formation from the pure elements in eV per formula unit: -18.8
Space group: C2/m, No. 12
Crystal system: monoclinic

Structure (CIF):
```
data_Pr2SmTh3P6
_space_group_name_H-M_alt 'P 1'
_space_group_IT_number 1
_space_group_name_Hall 'P 1'
_cell_length_a 7.205
_cell_length_b 7.205
_cell_length_c 7.189
_cell_angle_alpha 99.64
_cell_angle_beta 99.64
_cell_angle_gamma 119.92
loop_
_atom_site_label
_atom_site_type_symbol
_atom_site_fract_x
_atom_site_fract_y
_atom_site_fract_z
Pr1 Pr 0.166 0.834 0.000
Pr2 Pr 0.834 0.166 0.000
Sm1 Sm 0.500 0.500 0.000
Th1 Th 0.000 0.000 0.500
Th2 Th 0.333 0.667 0.500
Th3 Th 0.667 0.333 0.500
P1 P 0.085 0.415 0.745
P2 P 0.255 0.255 0.255
P3 P 0.415 0.085 0.745
P4 P 0.585 0.915 0.255
P5 P 0.745 0.745 0.745
P6 P 0.915 0.585 0.255
```

---

Record 2
The following is a PBE calculation of Pr2SmThP4 after structural relaxation, from Alexandria.

Results
Size of the total moment in μB per formula unit: 0.0
Fermi-level density of states in states/eV/cell: 1.541
Energy in eV/atom: -6.986
Energy of formation from the pure elements in eV per formula unit: -12.5
Space group: P2/m, No. 10
Crystal system: monoclinic

Structure (CIF):
```
data_Pr2SmThP4
_space_group_name_H-M_alt 'P 1'
_space_group_IT_number 1
_space_group_name_Hall 'P 1'
_cell_length_a 7.203
_cell_length_b 4.167
_cell_length_c 7.218
_cell_angle_alpha 90.00
_cell_angle_beta 109.42
_cell_angle_gamma 90.00
loop_
_atom_site_label
_atom_site_type_symbol
_atom_site_fract_x
_atom_site_fract_y
_atom_site_fract_z
Pr1 Pr 0.000 0.000 0.000
Pr2 Pr 0.500 0.500 0.000
Sm1 Sm 0.000 0.500 0.500
Th1 Th 0.500 0.000 0.500
P1 P 0.249 0.000 0.743
P2 P 0.253 0.500 0.257
P3 P 0.747 0.500 0.743
P4 P 0.751 0.000 0.257
```

---

Record 3
The following is a PBE calculation of Pr4SmTh3P8 after structural relaxation, from Alexandria.

Results
Size of the total moment in μB per formula unit: 0.0
Fermi-level density of states in states/eV/cell: 5.356
Energy in eV/atom: -7.150
Energy of formation from the pure elements in eV per formula unit: -25.0
Space group: R-3m, No. 166
Crystal system: trigonal

Structure (CIF):
```
data_Pr4SmTh3P8
_space_group_name_H-M_alt 'P 1'
_space_group_IT_number 1
_space_group_name_Hall 'P 1'
_cell_length_a 8.341
_cell_length_b 8.341
_cell_length_c 8.341
_cell_angle_alpha 59.97
_cell_angle_beta 59.97
_cell_angle_gamma 59.97
loop_
_atom_site_label
_atom_site_type_symbol
_atom_site_fract_x
_atom_site_fract_y
_atom_site_fract_z
Pr1 Pr 0.000 0.000 0.000
Pr2 Pr 0.000 0.500 0.500
Pr3 Pr 0.500 0.000 0.500
Pr4 Pr 0.500 0.500 0.000
Sm1 Sm 0.500 0.500 0.500
Th1 Th 0.000 0.000 0.500
Th2 Th 0.000 0.500 0.000
Th3 Th 0.500 0.000 0.000
P1 P 0.247 0.748 0.748
P2 P 0.248 0.248 0.248
P3 P 0.252 0.252 0.753
P4 P 0.252 0.753 0.252
P5 P 0.748 0.247 0.748
P6 P 0.748 0.748 0.247
P7 P 0.752 0.752 0.752
P8 P 0.753 0.252 0.252
```

~~~~~

# HfPaCd (GGA-PBE, relaxed)
data_HfPaCd
- - -

Completed
Pm2Al9Pd3 | PBE | relaxed

Summary:
Mass density   5.7 g cm⁻³
Total moment   0.00 μB per cell
E_form   -0.698 eV/atom

Cell: 13.3988 7.7039 10.5724 Å, 90.00 114.86 90.00°
Last column: nearest neighbours and their distance in Å.
Space group C2/c (No. 15)
Asymmetric unit:
Pm  0.1691  0.0841  0.2501 (multiplicity 8)  11 Al 3.08-3.21
Al  0.0000  0.3753  0.2500 (multiplicity 4)  2 Pd 2.60, 4 Al 2.75-2.82
Al  0.0594  0.0853  0.9272 (multiplicity 8)  3 Pd 2.63-2.66, 4 Al 2.81-2.94
Al  0.1013  0.4162  0.0552 (multiplicity 8)  3 Pd 2.63-2.68, 5 Al 2.78-2.92
Al  0.1024  0.3161  0.7481 (multiplicity 8)  2 Pd 2.60-2.61, 6 Al 2.75-2.90
Al  0.2246  0.4179  0.4289 (multiplicity 8)  3 Pd 2.65-2.66, 5 Al 2.81-2.94
Pd  0.0849  0.2435  0.4999 (multiplicity 8)  8 Al 2.60-2.68
Pd  0.2500  0.2500  0.0000 (multiplicity 4)  8 Al 2.61-2.66

~~~~~

Record 1
The following is a PBE calculation of Pr2SmTh3P6 after structural relaxation, from Alexandria.

Results
Size of the total moment in μB per formula unit: 0.0
Fermi-level density of states in states/eV/cell: 5.241
Energy in eV/atom: -7.313
Energy of formation from the pure elements in eV per formula unit: -18.8
Space group: C2/m, No. 12
Crystal system: monoclinic

Structure (CIF):
```
data_Pr2SmTh3P6
_space_group_name_H-M_alt 'P 1'
_space_group_IT_number 1
_space_group_name_Hall 'P 1'
_cell_length_a 7.205
_cell_length_b 7.205
_cell_length_c 7.189
_cell_angle_alpha 99.64
_cell_angle_beta 99.64
_cell_angle_gamma 119.92
loop_
_atom_site_label
_atom_site_type_symbol
_atom_site_fract_x
_atom_site_fract_y
_atom_site_fract_z
Pr1 Pr 0.166 0.834 0.000
Pr2 Pr 0.834 0.166 0.000
Sm1 Sm 0.500 0.500 0.000
Th1 Th 0.000 0.000 0.500
Th2 Th 0.333 0.667 0.500
Th3 Th 0.667 0.333 0.500
P1 P 0.085 0.415 0.745
P2 P 0.255 0.255 0.255
P3 P 0.415 0.085 0.745
P4 P 0.585 0.915 0.255
P5 P 0.745 0.745 0.745
P6 P 0.915 0.585 0.255
```

---

Record 2
The following is a PBE calculation of Pr2SmThP4 after structural relaxation, from Alexandria.

Results
Size of the total moment in μB per formula unit: 0.0
Fermi-level density of states in states/eV/cell: 1.541
Energy in eV/atom: -6.986
Energy of formation from the pure elements in eV per formula unit: -12.5
Space group: P2/m, No. 10
Crystal system: monoclinic

Structure (CIF):
```
data_Pr2SmThP4
_space_group_name_H-M_alt 'P 1'
_space_group_IT_number 1
_space_group_name_Hall 'P 1'
_cell_length_a 7.203
_cell_length_b 4.167
_cell_length_c 7.218
_cell_angle_alpha 90.00
_cell_angle_beta 109.42
_cell_angle_gamma 90.00
loop_
_atom_site_label
_atom_site_type_symbol
_atom_site_fract_x
_atom_site_fract_y
_atom_site_fract_z
Pr1 Pr 0.000 0.000 0.000
Pr2 Pr 0.500 0.500 0.000
Sm1 Sm 0.000 0.500 0.500
Th1 Th 0.500 0.000 0.500
P1 P 0.249 0.000 0.743
P2 P 0.253 0.500 0.257
P3 P 0.747 0.500 0.743
P4 P 0.751 0.000 0.257
```

---

Record 3
The following is a PBE calculation of Pr4SmTh3P8 after structural relaxation, from Alexandria.

Results
Size of the total moment in μB per formula unit: 0.0
Fermi-level density of states in states/eV/cell: 5.356
Energy in eV/atom: -7.150
Energy of formation from the pure elements in eV per formula unit: -25.0
Space group: R-3m, No. 166
Crystal system: trigonal

Structure (CIF):
```
data_Pr4SmTh3P8
_space_group_name_H-M_alt 'P 1'
_space_group_IT_number 1
_space_group_name_Hall 'P 1'
_cell_length_a 8.341
_cell_length_b 8.341
_cell_length_c 8.341
_cell_angle_alpha 59.97
_cell_angle_beta 59.97
_cell_angle_gamma 59.97
loop_
_atom_site_label
_atom_site_type_symbol
_atom_site_fract_x
_atom_site_fract_y
_atom_site_fract_z
Pr1 Pr 0.000 0.000 0.000
Pr2 Pr 0.000 0.500 0.500
Pr3 Pr 0.500 0.000 0.500
Pr4 Pr 0.500 0.500 0.000
Sm1 Sm 0.500 0.500 0.500
Th1 Th 0.000 0.000 0.500
Th2 Th 0.000 0.500 0.000
Th3 Th 0.500 0.000 0.000
P1 P 0.247 0.748 0.748
P2 P 0.248 0.248 0.248
P3 P 0.252 0.252 0.753
P4 P 0.252 0.753 0.252
P5 P 0.748 0.247 0.748
P6 P 0.748 0.748 0.247
P7 P 0.752 0.752 0.752
P8 P 0.753 0.252 0.252
```

~~~~~

# HfPaCd (GGA-PBE, relaxed)
data_HfPaCd